## To do
Restate the rows further down from the line with "_cell_angle_beta 90.00" to the end verbatim.

## Excerpt
____________
The following is a calculated powder XRD pattern of ScTlV2O6. It was derived from a DFT-relaxed cell (PBE+U, Alexandria), using Cu Kα.
Lines closer than 0.1° are merged.

Cell and atoms:
```
data_ScTlV2O6
_cell_length_a 5.5025
_cell_length_b 5.5025
_cell_length_c 15.9808
_cell_angle_alpha 90.00
_cell_angle_beta 90.00
_cell_angle_gamma 120.00
_symmetry_space_group_name_H-M 'R -3 m'
_symmetry_Int_Tables_number 166
_symmetry_space_group_name_Hall '-R 3 2"'
loop_
_atom_site_label
_atom_site_fract_x
_atom_site_fract_y
_atom_site_fract_z
_atom_site_occupancy
Sc1 0.0000 0.0000 0.0000 1
Tl1 0.0000 0.0000 0.5000 1
V1 0.0000 0.0000 0.1779 1
O1 0.0130 0.5065 0.5746 1
```

Main lines, low angle first (2θ = 5–70°):
16.64°, d 5.327, I 100; 21.71°, d 4.093, I 58; 29.17°, d 3.062, I 53; 32.55°, d 2.751, I 77; 36.77°, d 2.444, I 70; 38.19°, d 2.357, I 20; 39.47°, d 2.283, I 27; 47.51°, d 1.914, I 72; 56.00°, d 1.642, I 19; 68.82°, d 1.364, I 22
____________

## Written answer
_cell_angle_beta 90.00
_cell_angle_gamma 120.00
_symmetry_space_group_name_H-M 'R -3 m'
_symmetry_Int_Tables_number 166
_symmetry_space_group_name_Hall '-R 3 2"'
loop_
_atom_site_label
_atom_site_fract_x
_atom_site_fract_y
_atom_site_fract_z
_atom_site_occupancy
Sc1 0.0000 0.0000 0.0000 1
Tl1 0.0000 0.0000 0.5000 1
V1 0.0000 0.0000 0.1779 1
O1 0.0130 0.5065 0.5746 1
```

Main lines, low angle first (2θ = 5–70°):
16.64°, d 5.327, I 100; 21.71°, d 4.093, I 58; 29.17°, d 3.062, I 53; 32.55°, d 2.751, I 77; 36.77°, d 2.444, I 70; 38.19°, d 2.357, I 20; 39.47°, d 2.283, I 27; 47.51°, d 1.914, I 72; 56.00°, d 1.642, I 19; 68.82°, d 1.364, I 22